--- P ---
PBE+U BaSr3Co4O12, optimized geometry; calculated volume = 253.8 Å³/f.u.; total magnetic moment = 0.002 μB per formula unit
1.0
-0.4907 1.8374 -4.4011
-3.0338 4.1687 2.0322
7.9484 5.1230 1.3622
O Sr Co Ba
12 3 4 1
Direct
0.7590 0.2692 0.5799
0.2494 0.2235 0.9168
0.7502 0.7745 0.0724
0.2497 0.0011 0.1464
0.7494 0.9996 0.8451
0.7496 0.2294 0.0741
0.2499 0.2690 0.4300
0.7504 0.7279 0.5804
0.2501 0.7716 0.9149
0.7423 0.5012 0.3527
0.2409 0.7346 0.4302
0.2606 0.4991 0.6555
0.2475 0.9990 0.6672
0.7449 0.4989 0.8319
0.7542 0.0011 0.3374
0.9998 0.9996 0.9952
0.5000 0.5000 0.5043
0.0009 0.5002 0.5045
0.4998 0.9997 0.9953
0.2515 0.5009 0.1656

***

--- Q ---
PBE+U BaSr3Co4O12, optimized geometry; calculated volume = 252.9 Å³/f.u.; total magnetic moment = 0.098 μB per formula unit
1.0
0.0004 -0.0008 -4.7668
-2.7674 -4.7949 -0.0006
-8.2997 4.7936 0.0014
O Co Ba Sr
12 4 1 3
Direct
0.7501 0.7280 0.5789
0.7499 0.0004 0.8440
0.2499 0.2686 0.4311
0.2500 0.4995 0.6563
0.2500 0.7360 0.4304
0.2499 0.7744 0.9176
0.7500 0.5009 0.3517
0.2499 0.2290 0.9157
0.2501 0.9988 0.1479
0.7500 0.7701 0.0734
0.7501 0.2276 0.0720
0.7500 0.2674 0.5793
0.4996 0.5000 0.5042
0.5000 0.0002 0.9955
0.0000 0.0002 0.9955
0.0004 0.5000 0.5042
0.2500 0.5001 0.1664
0.2499 0.0005 0.6682
0.7502 0.4991 0.8311
0.7502 0.9992 0.3365

***

Stability, highest: Q

***

--- P ---
PBE+U Ba2YTlCo2O7, optimized geometry; calculated volume = 198.2 Å³/f.u.; total magnetic moment = 0.027 μB per formula unit
1.0
3.9591 0.0164 0.0000
0.0347 7.8450 -0.0027
0.0011 0.0028 12.7618
Ba O Tl Y Co
4 14 2 2 4
Direct
0.4994 0.2464 0.7930
0.5022 0.7555 0.7923
0.5017 0.2551 0.2065
0.5029 0.7474 0.2055
0.5043 0.0024 0.6132
0.0057 0.7557 0.6128
0.9933 0.9961 0.1658
0.9912 0.4963 0.1613
0.9921 0.9969 0.8384
0.5025 0.5020 0.3891
0.0044 0.2477 0.6116
0.5023 0.0016 0.3869
0.5051 0.5015 0.6161
0.4616 0.7170 0.9974
0.4401 0.2322 0.9993
0.9945 0.4964 0.8226
0.0035 0.2562 0.3856
0.0031 0.7466 0.3863
0.0351 0.0217 0.0019
0.0448 0.5178 0.9943
0.5013 0.2558 0.5022
0.5039 0.7470 0.5024
0.0036 0.0015 0.6241
0.0016 0.0013 0.3754
0.9973 0.5005 0.6426
0.0024 0.5014 0.3735

***

--- Q ---
PBE+U Ba2YTlCo2O7, optimized geometry; calculated volume = 197.5 Å³/f.u.; total magnetic moment = 0.000 μB per formula unit
1.0
5.1044 -1.9034 1.3640
2.3473 4.2042 -2.8837
-1.4713 10.1576 8.1983
Tl Y O Co Ba
2 2 14 4 4
Direct
0.0392 0.9635 0.0000
0.4611 0.4658 0.0000
0.2495 0.2460 0.5000
0.7511 0.7474 0.5001
0.4252 0.5908 0.8296
0.4378 0.0552 0.0008
0.0602 0.9384 0.6156
0.4403 0.0570 0.3837
0.9425 0.0552 0.3864
0.5568 0.9395 0.6125
0.4402 0.5543 0.3849
0.9035 0.0918 0.8283
0.0742 0.9182 0.1713
0.0581 0.5544 0.9992
0.0618 0.4369 0.6159
0.5950 0.4214 0.1706
0.9446 0.5520 0.3872
0.5577 0.4369 0.6136
0.8171 0.1798 0.6345
0.6833 0.3143 0.3672
0.1837 0.8129 0.3669
0.3172 0.6804 0.6318
0.6077 0.8925 0.2097
0.1008 0.3919 0.2073
0.3990 0.1011 0.7927
0.8926 0.6024 0.7902

***

--- R ---
PBE+U Ba2YTlCo2O7, optimized geometry; calculated volume = 194.6 Å³/f.u.; total magnetic moment = 0.177 μB per formula unit
1.0
1.6646 -2.8224 2.1686
10.9956 6.1428 -0.4228
-0.9690 1.9550 3.2675
O Tl Y Ba Co
7 1 1 2 2
Direct
0.4996 0.3860 0.0003
0.9999 0.8190 0.0001
0.4994 0.9999 0.4980
0.9997 0.3857 0.5004
0.9999 0.1797 0.0002
0.5026 0.6139 0.9999
0.0001 0.6134 0.4978
0.0018 0.0004 0.0005
0.5003 0.5004 0.4997
0.4979 0.7926 0.5019
0.5001 0.2080 0.5000
0.9999 0.3590 0.0000
0.9987 0.6419 0.0012

***

Stability, highest: Q

***

--- P ---
PBE+U Ba2YTlCo2O7, optimized geometry; calculated volume = 198.3 Å³/f.u.; total magnetic moment = 0.000 μB per formula unit
1.0
-3.9886 3.9944 -0.0008
0.0017 0.0012 12.6209
3.9335 3.9376 -0.0010
O Ba Co Tl Y
14 4 4 2 2
Direct
0.5103 0.1682 0.4951
0.0587 0.0001 0.4504
0.5101 0.8319 0.4950
0.7507 0.6136 0.2530
0.7495 0.6138 0.7528
0.2502 0.6139 0.7523
0.7497 0.3865 0.7529
0.9891 0.1690 0.9956
0.2504 0.3857 0.7524
0.9887 0.8313 0.9954
0.2501 0.3858 0.2525
0.2500 0.6141 0.2524
0.7508 0.3864 0.2530
0.4395 0.0001 0.9498
The reader should count the lines further up that contain the word "geometry" and give the number alone.
6